Job:
Search the lines further down for the word "parameters" and repeat each line that has it, please.
Listing:
'''
Structure and theoretical powder diffraction line list of K2Ca3F8 (a structure optimized by DFT (GGA-PBE); CuKα).
Peak positions follow from Bragg's law for the DFT cell and can differ from measured ones.

Most intense lines, 2θ from 10° to 90°, low angle first:
5.895 Å, I = 91; 5.079 Å, I = 42; 3.796 Å, I = 86; 3.458 Å, I = 62; 2.916 Å, I = 66; 2.342 Å, I = 100; 2.243 Å, I = 53; 1.928 Å, I = 54; 1.813 Å, I = 44; 1.747 Å, I = 81

Structure:
a = 12.631 Å, b = 7.123 Å, c = 6.022 Å
α = 90.00°, β = 111.04°, γ = 90.00°
Space group C2/m (No. 12)
Symmetry-distinct sites (fractional):
K  0.218  0.000  0.154 [4 per cell]
Ca  0.000  0.242  0.500 [4 per cell]
Ca  0.000  0.500  0.000 [2 per cell]
F  0.093  0.500  0.409 [4 per cell]
F  0.101  0.000  0.440 [4 per cell]
F  0.104  0.284  0.890 [8 per cell]

***

Structure and theoretical powder diffraction line list of La3Dy8Tm4 (a structure optimized by DFT (GGA-PBE); CuKα).
Peak positions follow from Bragg's law for the DFT cell and can differ from measured ones.

Most intense lines, 2θ from 10° to 90°, low angle first:
3.204 Å, I = 36; 2.920 Å, I = 100; 2.902 Å, I = 49; 2.807 Å, I = 28; 2.318 Å, I = 12; 2.158 Å, I = 47; 2.151 Å, I = 23; 1.690 Å, I = 10; 1.404 Å, I = 20; 1.402 Å, I = 10

Structure:
a = 13.415 Å, b = 12.814 Å, c = 6.759 Å
α = 90.00°, β = 120.09°, γ = 90.00°
Space group C2/m (No. 12)
Symmetry-distinct sites (fractional):
La  0.000  0.000  0.000 [2 per cell]
La  0.250  0.250  0.500 [4 per cell]
Dy  0.000  0.142  0.500 [4 per cell]
Dy  0.000  0.248  0.000 [4 per cell]
Dy  0.231  0.000  0.511 [4 per cell]
Dy  0.244  0.000  0.999 [4 per cell]
Tm  0.000  0.500  0.000 [2 per cell]
Tm  0.000  0.500  0.500 [2 per cell]
Tm  0.250  0.250  0.000 [4 per cell]

***

Structure and theoretical powder diffraction line list of PmNdErCu (a structure optimized by DFT (GGA-PBE); CuKα).
Peak positions follow from Bragg's law for the DFT cell and can differ from measured ones.

Most intense lines, 2θ from 10° to 90°, low angle first:
3.293 Å, I = 26; 2.911 Å, I = 18; 2.757 Å, I = 100; 2.514 Å, I = 53; 2.252 Å, I = 11; 1.903 Å, I = 21; 1.778 Å, I = 19; 1.568 Å, I = 14; 1.494 Å, I = 31; 1.176 Å, I = 11

Structure:
a = 3.555 Å, b = 3.555 Å, c = 8.733 Å
α = 90.00°, β = 90.00°, γ = 90.00°
Space group P4mm (No. 99)
Symmetry-distinct sites (fractional):
Pm  0.000  0.000  0.000 [1 per cell]
Nd  0.500  0.500  0.310 [1 per cell]
Er  0.000  0.000  0.612 [1 per cell]
Cu  0.500  0.500  0.788 [1 per cell]

***

Structure and theoretical powder diffraction line list of CeSm2DyTh (a structure optimized by DFT (GGA-PBE); CuKα).
Peak positions follow from Bragg's law for the DFT cell and can differ from measured ones.

Most intense lines, 2θ from 10° to 90°, low angle first:
4.265 Å, I = 45; 3.211 Å, I = 53; 2.942 Å, I = 100; 2.843 Å, I = 43; 2.782 Å, I = 45; 2.764 Å, I = 69; 2.658 Å, I = 68; 2.526 Å, I = 46; 2.445 Å, I = 58; 2.309 Å, I = 50

Structure:
a = 8.925 Å, b = 6.270 Å, c = 6.438 Å
α = 90.00°, β = 107.10°, γ = 90.00°
Space group P2/c (No. 13)
Symmetry-distinct sites (fractional):
Ce  0.000  0.162  0.250 [2 per cell]
Sm  0.183  0.315  0.838 [4 per cell]
Dy  0.500  0.488  0.250 [2 per cell]
Th  0.500  0.000  0.000 [2 per cell]

~~~~~

Structure and calculated powder X-ray diffraction pattern of Hf3AuC2 (DFT lattice parameters and positions (PBE); λ = 1.5418 Å (Cu Kα)).

Top 12 peaks for 2θ = 15–90°, low angle first:
two_theta	Rel. int.	h k l
31.35	9	1 0 0
31.70	23	1 0 1
34.34	10	1 0 3
36.52	100	1 0 4
36.99	24	0 0 8
39.16	21	1 0 5
49.26	7	1 0 8
53.19	10	1 0 9
55.81	27	1 1 0
66.36	16	1 0 12
68.55	16	2 0 4
68.86	25	1 1 8

Atomic structure:
```
Hf3AuC2
1.0
3.295 0.000 0.000
-1.647 2.853 0.000
0.000 0.000 19.439
Hf Au C
6 2 4
Cartesian
0.000 0.000 0.000
0.000 0.000 9.720
0.000 1.902 2.593
0.000 1.902 7.127
1.647 0.951 12.312
1.647 0.951 16.847
0.000 0.000 4.860
0.000 0.000 14.580
0.000 1.902 11.105
0.000 1.902 18.054
1.647 0.951 1.385
1.647 0.951 8.335
```

~~~~~

Record 1
'''
Solution:
Structure and calculated powder X-ray diffraction pattern of Hf3AuC2 (DFT lattice parameters and positions (PBE); λ = 1.5418 Å (Cu Kα)).